RJ74 Member


  • Hi! Welcome to MFP. :) I am also an "older mom". I am 39 and have two boys (13 and 10) and an awesome hubby. I totally understand the not wanting to work out thing. Currently, I work as a paralegal and am in school for nursing (midlife career change). My kids are both in sports and that is a giant time-suck (but fun!).…
  • bump. Dinner tonight!
  • You all are amazing women (and men). What an eye-opening thread. I always thought it was just ME who had all these terrible thoughts about myself. Anyways, I sent my mom the following note after a telephone conversation with her about how horrible I thought I looked in something. (She kept trying to reassure m that I…
  • Wow, thank you guys for the encouragement! I really appreciate the thought and effort that went into all your replies. I am looking into getting the BF% testing done at least, possibly the RMR. I just started back to school to get my nursing degree, so money is a little tight these days. But, I think it would be really…
(Materials data from another source follow)
+++
(1)
Simulated powder X-ray diffraction pattern
Compound: Dy5Tl3
Radiation: Cu Kα X-rays
Structure: the PBE geometry in the Materials Project
Lines closer than 0.1° are merged.

Structure:
```
data_Dy5Tl3
_chemical_formula_sum 'Dy10 Tl6'
_cell_length_a 8.9973
_cell_length_b 8.9973
_cell_length_c 6.7454
_cell_angle_alpha 90.00
_cell_angle_beta 90.00
_cell_angle_gamma 120.00
_symmetry_space_group_name_H-M 'P 63/m c m'
_symmetry_Int_Tables_number 193
_symmetry_space_group_name_Hall '-P 6c 2'
loop_
_atom_site_label
_atom_site_type_symbol
_atom_site_fract_x
_atom_site_fract_y
_atom_site_fract_z
Dy1 Dy 0.0000 0.2364 0.2500
Dy2 Dy 0.3333 0.6667 0.0000
Tl1 Tl 0.0000 0.4025 0.7500
```

Top 10 peaks for 15° ≤ 2θ ≤ 90°, by angle:
(hkl)	d (Å)	Rel. int.
0 0 2	3.373	13.8
2 1 0	2.945	15.3
1 1 2	2.699	100.0
3 0 0	2.597	18.0
3 1 1	2.058	10.8
2 1 3	1.787	17.8
0 0 4	1.687	11.8
5 0 0	1.558	8.6
3 3 1	1.464	9.5
5 0 2	1.415	18.0

(2)
Simulated powder X-ray diffraction pattern
Compound: Dy5Tl3
Radiation: Cu Kα X-rays
Structure: the PBE geometry in the Materials Project
Lines closer than 0.1° are merged.

Structure:
```
data_Dy5Tl3
_chemical_formula_sum 'Dy20 Tl12'
_cell_length_a 8.0487
_cell_length_b 8.0487
_cell_length_c 14.4592
_cell_angle_alpha 90.00
_cell_angle_beta 90.00
_cell_angle_gamma 90.00
_symmetry_space_group_name_H-M 'I 4/m c m'
_symmetry_Int_Tables_number 140
_symmetry_space_group_name_Hall '-I 4 2c'
loop_
_atom_site_label
_atom_site_type_symbol
_atom_site_fract_x
_atom_site_fract_y
_atom_site_fract_z
Dy1 Dy 0.0000 0.0000 0.0000
Dy2 Dy 0.1617 0.3383 0.1510
Tl1 Tl 0.0000 0.0000 0.2500
Tl2 Tl 0.1343 0.3657 0.5000
```

Top 10 peaks for 15° ≤ 2θ ≤ 90°, by angle:
(hkl)	d (Å)	Rel. int.
1 1 4	3.051	10.5
2 1 3	2.884	100.0
2 2 0	2.846	10.0
2 0 4	2.689	20.8
3 1 0	2.545	51.0
0 0 6	2.410	10.4
0 0 8	1.809	15.3
3 1 6	1.750	8.4
3 1 8	1.474	10.2
5 2 3	1.428	15.3

(3)
Simulated powder X-ray diffraction pattern
Compound: DyTl3
Radiation: Cu Kα X-rays
Structure: the PBE geometry in the Materials Project
Lines closer than 0.1° are merged.

Structure:
```
data_DyTl3
_chemical_formula_sum 'Dy1 Tl3'
_cell_length_a 4.7783
_cell_length_b 4.7783
_cell_length_c 4.7783
_cell_angle_alpha 90.00
_cell_angle_beta 90.00
_cell_angle_gamma 90.00
_symmetry_space_group_name_H-M 'P m -3 m'
_symmetry_Int_Tables_number 221
_symmetry_space_group_name_Hall '-P 4 2 3'
loop_
_atom_site_label
_atom_site_type_symbol
_atom_site_fract_x
_atom_site_fract_y
_atom_site_fract_z
Dy1 Dy 0.0000 0.0000 0.0000
Tl1 Tl 0.0000 0.5000 0.5000
```

Top 9 peaks for 15° ≤ 2θ ≤ 90°, by angle:
(hkl)	d (Å)	Rel. int.
1 0 0	4.778	0.7
1 1 0	3.379	0.7
1 1 1	2.759	100.0
2 0 0	2.389	50.5
2 2 0	1.689	35.7
3 1 1	1.441	42.3
2 2 2	1.379	12.2
4 0 0	1.195	5.8
3 3 1	1.096	18.7

(4)
Simulated powder X-ray diffraction pattern
Compound: DyYTl2
Radiation: Cu Kα X-rays
Structure: the PBE geometry in the Materials Project
Lines closer than 0.1° are merged.

Structure:
```
data_DyYTl2
_chemical_formula_sum 'Dy4 Y4 Tl8'
_cell_length_a 7.5922
+++
(Here the page continues)
  • Thanks for letting me whine. Greenrun99- after I read your response I realized it probably did sound like I had "commitment" issues regarding calorie levels. I should clarify by saying that after I did my "reset" in September, I cut down to 1900. I ate that consistently for about 5 weeks and gained weight. So I figured my…
  • I did Insanity but have never done Combat (looks fun though!). To be honest, Insanity kicked my butt (even though I had just finished P90X) and I didn't lose any inches/pounds at all. No visible results for me. If you are looking for something low impact, Insanity is not it. It wrecked my knees, a ton of jumping, etc. I…
  • Nice! How'd ya know I needed a pep talk today? :flowerforyou:
  • Thanks for the reassurance! I am not expecting another loss like that this week, but it was kind of a nice surprise! :)
  • Hi Ladies (waves)- I just wanted to ask a quick question of those of you who have been at your cut for a while. I did a 6 week reset, gained 5 lbs. in the first 3 weeks and then leveled off. Decided to do a 10% cut last Thursday. I weighed myself this morning (scale=evil, I know). Anyways, I lost 1.5 lbs. this week. Is…
  • I wish I had some fabulous words of wisdom for you, but I don't. My heart hurts for you, though.:frown: I am up 5 lbs. and am just starting my 6th week. My clothes, that were just starting to get loose, are tight again. It sucks. So, I do know how you feel. HOWEVER, I have to keep reminding myself that this is a learning…
  • I had the same question when I started. It does seem like an overwhelming number. :ohwell: I use protein shakes (but I can only handle one a day and even then they sometimes make my stomach hurt), greek yogurt is delicious and high in protein, cottage cheese, regular cheese, chicken, eggs, tuna/any fish. I don't always hit…
  • I feel ya about the "what did I do wrong" feeling. I swear I was SO careful about my diet and was religious about exercising. I have no idea why it didn't work for me (or you, sounds like). Of course, my endurance was up, but my body was also BEAT UP! My knees, feet, everything was screaming at me! I know that I am better…
  • As you know, I just finished Insanity about a month ago, also. I didn't have very good results at all. No noticeable changes, as a matter of fact! :) I decided that was WAY too much work to not have any results. I am about two weeks into New Rules of Lifting For Women. I really like the "heavy" lifting aspect of it and it…
  • Funny, I was just telling my hubby how squishy I feel now. He reminded me that it was just my body freaking out because I am finally feeding it something other than lettuce and water (an exaggeration, but still, my eating was pretty sad before reset). As far as something positive coming out of reset, here's mine: I have…
  • Wow. I can't believe you don't think that's much of a difference. 2 MONTHS??? Really??? Amazing and inspirational to those of us that are still beginning. I just started weights a couple weeks ago (NROLFW) and love it. Coming from doing Insanity and love the controlled pace of lifting. Thanks for giving me something to…
  • For me, it was eating at 1400 cals a day, running and doing everything "right' and still not having any movement on the scale. Realized thee was no way I could eat anything less, so I found EMTLW and went up double my cals for maintenance and have been working on it ever since. [/quote] This^^^ I got tired of busting my…
  • Awesome!
  • Ok, not to get all "deep" or anything, but I was actually thinking about this on my way into work this morning. I definitely tend to obsess about each new thing I try, then get frusturated and give up. My tendency is to aim for "perfect" because then if it doesn't work it couldn't possibly be my fault (wink, wink).…
  • Thanks for the input. I decided to reduce my calories a little and eat the same amount each day. I plan on doing some cardio two days a week along with the NROL4W, so I will be burning some calories on those days also. I feel like I may be too focused on the numbers and need to relax a little, but I so want this to work!…
  • That was kind of my thinking, too. Just wanted to double check my reasoning. Thanks! :)
  • Interesting. I'll have to look for that... Thanks again for the suggestion!
  • Brewer's Yeast?? What is that and where do you find it? Does it have a taste to it? Thanks for the suggestion! I have given up on protein powder. It's just not worth it to me!
Attached: materials data:
- - -
# 1
For ZrTiH4, the GGA-PBE geometry in Alexandria gives the computed X-ray diffraction stick pattern in this record (Cu Kα (λ = 1.5418 Å)).
Kinematic intensities with the Lorentz-polarization factor, no thermal factor.

```
data_ZrTiH4
_symmetry_space_group_name_H-M 'I 41/a m d'
_symmetry_Int_Tables_number 141
_cell_length_a 4.788
_cell_length_b 4.788
_cell_length_c 8.513
_cell_angle_alpha 90.00
_cell_angle_beta 90.00
_cell_angle_gamma 90.00
loop_
_symmetry_equiv_pos_as_xyz
'x,y,z'
'-x,-y,-z'
'-y+1/4,x+3/4,z+1/4'
'y+1/4,-x+3/4,-z+1/4'
'-x+1/2,-y,z+1/2'
'x+1/2,y,-z+1/2'
'y+1/4,-x+1/4,z+3/4'
'-y+1/4,x+1/4,-z+3/4'
'x,-y,-z'
'-x,y,z'
'-y+1/4,-x+1/4,-z+3/4'
'y+1/4,x+1/4,z+3/4'
'-x+1/2,y,-z+1/2'
'x+1/2,-y,z+1/2'
'y+1/4,x+3/4,-z+1/4'
'-y+1/4,-x+3/4,z+1/4'
'x+1/2,y+1/2,z+1/2'
'-x+1/2,-y+1/2,-z+1/2'
'-y+3/4,x+1/4,z+3/4'
'y+3/4,-x+1/4,-z+3/4'
'-x,-y+1/2,z'
'x,y+1/2,-z'
'y+3/4,-x+3/4,z+1/4'
'-y+3/4,x+3/4,-z+1/4'
'x+1/2,-y+1/2,-z+1/2'
'-x+1/2,y+1/2,z+1/2'
'-y+3/4,-x+3/4,-z+1/4'
'y+3/4,x+3/4,z+1/4'
'-x,y+1/2,-z'
'x,-y+1/2,z'
'y+3/4,x+1/4,-z+3/4'
'-y+3/4,-x+1/4,z+3/4'
loop_
_atom_site_label
_atom_site_type_symbol
_atom_site_fract_x
_atom_site_fract_y
_atom_site_fract_z
Zr1 Zr 0.000 0.250 0.375
Ti1 Ti 0.000 0.250 0.875
H1 H 0.230 0.000 0.000
```

Principal peaks in the range 2θ from 15° to 90°, most intense first:
2θ/deg, I (rel.)
33.83, 100
37.57, 34
65.43, 27
57.98, 21
21.29, 16
54.18, 13
42.47, 12
71.17, 10
72.19, 10
89.94, 6

***

# 2
For ScCdFeNi2, the GGA-PBE geometry in Alexandria gives the computed X-ray diffraction stick pattern in this record (Cu Kα (λ = 1.5418 Å)).
Kinematic intensities with the Lorentz-polarization factor, no thermal factor.

```
data_ScCdFeNi2
_symmetry_space_group_name_H-M 'P 4/m m m'
_symmetry_Int_Tables_number 123
_symmetry_space_group_name_Hall '-P 4 2'
_cell_length_a 4.643
_cell_length_b 4.643
_cell_length_c 4.710
_cell_angle_alpha 90.00
_cell_angle_beta 90.00
_cell_angle_gamma 90.00
loop_
_atom_site_label
_atom_site_type_symbol
_atom_site_fract_x
_atom_site_fract_y
_atom_site_fract_z
Sc1 Sc 0.000 0.000 0.000
Cd1 Cd 0.500 0.500 0.500
Fe1 Fe 0.500 0.500 0.000
Ni1 Ni 0.000 0.500 0.500
```

Principal peaks in the range 2θ from 15° to 90°, most intense first:
2θ/deg, I (rel.)
38.79, 100
19.11, 83
55.59, 66
38.22, 52
18.84, 51
26.96, 44
33.26, 37
56.01, 32
69.84, 31
43.46, 24

***

# 3
For Np3NbP4, the GGA-PBE geometry in Alexandria gives the computed X-ray diffraction stick pattern in this record (Cu Kα (λ = 1.5418 Å)).
Kinematic intensities with the Lorentz-polarization factor, no thermal factor.

```
data_Np3NbP4
_symmetry_space_group_name_H-M 'P 1 2/c 1'
_symmetry_Int_Tables_number 13
_symmetry_space_group_name_Hall '-P 2yc'
_cell_length_a 6.640
_cell_length_b 7.656
_cell_length_c 6.696
_cell_angle_alpha 90.00
_cell_angle_beta 109.55
_cell_angle_gamma 90.00
loop_
_atom_site_label
_atom_site_type_symbol
_atom_site_fract_x
_atom_site_fract_y
_atom_site_fract_z
Np1 Np 0.000 0.122 0.250
Np2 Np 0.000 0.370 0.750
- - -
  • Ok, Day 3 of my reset and I made the mistake of stepping on the scale. 3 days in and up 3 pounds. The same 3 pounds it's taken me 6 months to lose. I took a deep breath and told my husband to hide the scale for 4 weeks. I expected this, but actually seeing the number on the scale is so scary! I am hitting my TDEE of 2230…
  • Thanks, ladies. You all rock! Yesterday I tried to eat my TDEE just to see how much food it was. I have it figured for 2230, does that sound right? Also, I DON'T eat back exercise calories because they are already figured in there, correct? So, anyways, it was not so difficult to eat all those calories (YAY Peanut…
  • Thanks for the encouragment and advice! I'm curious, since you both did WW, have you been able to "throw out" the scale number and not let it bother you? If so, how long did it take you to get to that point? My husband hid the scale during P90X because I would get so frusturated. Maybe that would be a good thing to do…
  • I started month 2 today also. Shaun T is crazy. I was in the basement doing my workout and my husband was upstairs making his breakfast. Kept hearing him laugh at me when I was talking to the tv telling Shaun T he was nuts. He yelled down "YOU'RE the one talking to the television. Who's the crazy one???" Anyways, Month 2…
  • Ok, so I'm in the "recovery week" of my first round of Insanity. So far, I have lost NO weight. Thought I lost 2 lbs., but they missed me and came back. Kind of frusturated. I finished P90X just prior to starting Insanity and lost no weight there, either. I really need to lose 15 lbs. or so (heck, at this point I would be…
  • Started week 2 today. I think I might need new carpet when I'm through with Insanity because the stuff I have now is gonna be nasty from all this sweating. :) I was doing the moving push ups this morning and the sweat was dripping off me. Gross. Anyways, probably more than anyone needed to know, but it made me laugh! Loved…
  • Day 2 today. Cardio Plyo Circuit = sweating puddle of goo on floor. Crazy! LOVE having to drag myself up the stairs to take a shower. Bring it!